**Activity:**
Your job: restate the whole of the block underneath unchanged.

**File:**
____________
(1)
{
  "formula": "C49H59BN7O2S4Sn",
  "method": "ωB97M-V with the def2-TZVPD basis set",
  "symbols": ["Sn", "S", "S", "S", "S", "O", "O", "N", "N", "N", "N", "N", "N", "N", "C", "C", "C", "C", "C", "C", "C", "C", "C", "C", "C", "C", "C", "C", "C", "C", "C", "C", "C", "C", "C", "C", "C", "C", "C", "C", "C", "C", "C", "C", "C", "C", "C", "C", "C", "C", "C", "C", "C", "C", "C", "C", "C", "C", "C", "C", "C", "C", "C", "B", "H", "H", "H", "H", "H", "H", "H", "H", "H", "H", "H", "H", "H", "H", "H", "H", "H", "H", "H", "H", "H", "H", "H", "H", "H", "H", "H", "H", "H", "H", "H", "H", "H", "H", "H", "H", "H", "H", "H", "H", "H", "H", "H", "H", "H", "H", "H", "H", "H", "H", "H", "H", "H", "H", "H", "H", "H", "H", "H"],
  "positions_angstrom": [[-1.643, -1.319, -1.404], [1.525, 2.832, 1.879], [-3.150, -3.118, 1.529], [0.355, 0.334, 1.977], [0.665, 2.158, -0.658], [-0.765, -1.114, -3.429], [-2.913, -1.906, 0.614], [1.230, -1.885, -4.195], [-0.291, 0.944, -0.446], [0.001, -2.650, -1.012], [1.605, 1.316, 2.271], [-0.768, -2.704, -5.054], [0.696, 3.174, 0.593], [0.165, -0.060, 0.486], [0.867, 4.559, 5.385], [5.539, 2.897, 1.855], [1.257, -4.022, -5.384], [1.134, -2.896, -0.917], [-1.050, 1.000, 2.814], [-0.678, 2.432, -2.984], [-0.972, 1.216, 4.187], [2.880, 0.555, -0.850], [-3.202, -4.561, 0.437], [-3.022, -5.105, -2.025], [-0.064, -3.594, -5.983], [1.654, -3.460, 3.994], [4.951, 1.307, -1.819], [-0.033, 4.494, -1.847], [3.072, 2.808, -1.763], [-0.109, -1.891, -4.220], [-1.205, 4.575, -3.944], [2.107, -2.238, 4.477], [-0.600, 5.226, -2.877], [4.198, 0.315, -1.207], [-3.215, 2.075, 4.112], [-2.192, 1.294, 2.078], [-2.068, 1.758, 4.833], [1.971, -0.933, -3.384], [5.776, 4.233, 1.562], [-0.366, 4.560, 2.870], [-7.296, -2.660, 1.776], [3.204, 3.325, 1.763], [3.417, 4.671, 1.470], [-3.817, -4.368, -0.952], [4.389, 2.548, -2.101], [-5.961, -2.951, 1.097], [-0.900, 5.304, 3.912], [0.784, 3.826, 3.120], [0.866, -1.142, 2.765], [1.417, 3.811, 4.361], [-0.287, 5.304, 5.157], [2.049, -2.790, -5.008], [4.239, 2.424, 1.960], [-4.836, -2.949, 2.119], [1.724, -1.061, 3.859], [-2.218, -2.685, -5.169], [-3.279, 1.841, 2.745], [0.395, -2.351, 2.272], [-1.245, 3.188, -3.997], [-0.088, 3.106, -1.921], [2.338, 1.807, -1.130], [4.720, 5.120, 1.368], [0.808, -3.516, 2.895], [2.644, -3.238, -0.744], [-6.007, -3.920, 0.600], [-4.069, 2.498, 4.624], [-4.959, -3.732, 2.873], [-3.682, -5.356, 1.011], [-1.718, 2.689, -4.832], [-3.496, -5.001, -3.001], [2.400, -2.257, -5.896], [2.292, -0.232, -0.398], [0.420, 4.992, -1.001], [2.324, 3.241, 4.522], [-1.998, -4.728, -2.096], [-4.849, -4.716, -0.951], [-8.107, -2.661, 1.050], [4.972, 3.311, -2.599], [-2.031, 1.924, 5.901], [-2.498, -2.500, -6.207], [0.079, -3.083, -6.940], [1.297, -0.186, -2.977], [-7.526, -3.411, 2.532], [-2.146, -4.836, 0.350], [-1.792, 5.892, 3.746], [2.110, -0.111, 4.200], [-3.872, -3.299, -1.181], [6.368, 2.220, 2.009], [4.916, 6.160, 1.149], [-4.794, -1.997, 2.657], [-0.685, 1.351, -3.037], [-2.957, -6.171, -1.807], [0.478, -4.472, 2.512], [2.775, -2.203, 5.326], [4.040, 1.386, 2.184], [2.923, -3.056, -4.413], [-0.706, 5.897, 5.960], [2.633, 3.767, -2.002], [-0.834, 4.547, 1.896], [1.079, -4.635, -4.498], [-7.285, -1.684, 2.264], [6.794, 4.593, 1.491], [-2.632, -3.650, -4.871], [2.489, -1.443, -2.569], [2.587, 5.355, 1.340], [-0.573, 6.307, -2.842], [-5.757, -2.200, 0.330], [5.978, 1.109, -2.095], [-1.651, 5.156, -4.741], [3.231, -2.191, -0.921], [-0.256, -2.380, 1.412], [-2.237, 1.094, 1.017], [1.820, -4.623, -6.096], [-0.085, 0.958, 4.750], [2.713, -0.434, -4.011], [4.624, -0.662, -1.016], [2.750, -3.641, 0.390], [2.915, -4.061, -1.580], [-4.180, 2.075, 2.195], [1.973, -4.375, 4.474], [1.342, 4.574, 6.356], [-2.640, -1.899, -4.553], [-0.710, -4.453, -6.163]],
  "fmax_ev_per_a": 0.533,
  "total_charge": 3,
  "de_lowest_kj_mol": 85.5,
  "homo_ev": -15.33,
  "orbital_gap_ev": 8.1
}



(2)
{
  "formula": "C49H62N6O3PSbTi",
  "method": "ωB97M-V with the def2-TZVPD basis set",
____________

**Outcome:**
(1)
{
  "formula": "C49H59BN7O2S4Sn",
  "method": "ωB97M-V with the def2-TZVPD basis set",
  "symbols": ["Sn", "S", "S", "S", "S", "O", "O", "N", "N", "N", "N", "N", "N", "N", "C", "C", "C", "C", "C", "C", "C", "C", "C", "C", "C", "C", "C", "C", "C", "C", "C", "C", "C", "C", "C", "C", "C", "C", "C", "C", "C", "C", "C", "C", "C", "C", "C", "C", "C", "C", "C", "C", "C", "C", "C", "C", "C", "C", "C", "C", "C", "C", "C", "B", "H", "H", "H", "H", "H", "H", "H", "H", "H", "H", "H", "H", "H", "H", "H", "H", "H", "H", "H", "H", "H", "H", "H", "H", "H", "H", "H", "H", "H", "H", "H", "H", "H", "H", "H", "H", "H", "H", "H", "H", "H", "H", "H", "H", "H", "H", "H", "H", "H", "H", "H", "H", "H", "H", "H", "H", "H", "H", "H"],
  "positions_angstrom": [[-1.643, -1.319, -1.404], [1.525, 2.832, 1.879], [-3.150, -3.118, 1.529], [0.355, 0.334, 1.977], [0.665, 2.158, -0.658], [-0.765, -1.114, -3.429], [-2.913, -1.906, 0.614], [1.230, -1.885, -4.195], [-0.291, 0.944, -0.446], [0.001, -2.650, -1.012], [1.605, 1.316, 2.271], [-0.768, -2.704, -5.054], [0.696, 3.174, 0.593], [0.165, -0.060, 0.486], [0.867, 4.559, 5.385], [5.539, 2.897, 1.855], [1.257, -4.022, -5.384], [1.134, -2.896, -0.917], [-1.050, 1.000, 2.814], [-0.678, 2.432, -2.984], [-0.972, 1.216, 4.187], [2.880, 0.555, -0.850], [-3.202, -4.561, 0.437], [-3.022, -5.105, -2.025], [-0.064, -3.594, -5.983], [1.654, -3.460, 3.994], [4.951, 1.307, -1.819], [-0.033, 4.494, -1.847], [3.072, 2.808, -1.763], [-0.109, -1.891, -4.220], [-1.205, 4.575, -3.944], [2.107, -2.238, 4.477], [-0.600, 5.226, -2.877], [4.198, 0.315, -1.207], [-3.215, 2.075, 4.112], [-2.192, 1.294, 2.078], [-2.068, 1.758, 4.833], [1.971, -0.933, -3.384], [5.776, 4.233, 1.562], [-0.366, 4.560, 2.870], [-7.296, -2.660, 1.776], [3.204, 3.325, 1.763], [3.417, 4.671, 1.470], [-3.817, -4.368, -0.952], [4.389, 2.548, -2.101], [-5.961, -2.951, 1.097], [-0.900, 5.304, 3.912], [0.784, 3.826, 3.120], [0.866, -1.142, 2.765], [1.417, 3.811, 4.361], [-0.287, 5.304, 5.157], [2.049, -2.790, -5.008], [4.239, 2.424, 1.960], [-4.836, -2.949, 2.119], [1.724, -1.061, 3.859], [-2.218, -2.685, -5.169], [-3.279, 1.841, 2.745], [0.395, -2.351, 2.272], [-1.245, 3.188, -3.997], [-0.088, 3.106, -1.921], [2.338, 1.807, -1.130], [4.720, 5.120, 1.368], [0.808, -3.516, 2.895], [2.644, -3.238, -0.744], [-6.007, -3.920, 0.600], [-4.069, 2.498, 4.624], [-4.959, -3.732, 2.873], [-3.682, -5.356, 1.011], [-1.718, 2.689, -4.832], [-3.496, -5.001, -3.001], [2.400, -2.257, -5.896], [2.292, -0.232, -0.398], [0.420, 4.992, -1.001], [2.324, 3.241, 4.522], [-1.998, -4.728, -2.096], [-4.849, -4.716, -0.951], [-8.107, -2.661, 1.050], [4.972, 3.311, -2.599], [-2.031, 1.924, 5.901], [-2.498, -2.500, -6.207], [0.079, -3.083, -6.940], [1.297, -0.186, -2.977], [-7.526, -3.411, 2.532], [-2.146, -4.836, 0.350], [-1.792, 5.892, 3.746], [2.110, -0.111, 4.200], [-3.872, -3.299, -1.181], [6.368, 2.220, 2.009], [4.916, 6.160, 1.149], [-4.794, -1.997, 2.657], [-0.685, 1.351, -3.037], [-2.957, -6.171, -1.807], [0.478, -4.472, 2.512], [2.775, -2.203, 5.326], [4.040, 1.386, 2.184], [2.923, -3.056, -4.413], [-0.706, 5.897, 5.960], [2.633, 3.767, -2.002], [-0.834, 4.547, 1.896], [1.079, -4.635, -4.498], [-7.285, -1.684, 2.264], [6.794, 4.593, 1.491], [-2.632, -3.650, -4.871], [2.489, -1.443, -2.569], [2.587, 5.355, 1.340], [-0.573, 6.307, -2.842], [-5.757, -2.200, 0.330], [5.978, 1.109, -2.095], [-1.651, 5.156, -4.741], [3.231, -2.191, -0.921], [-0.256, -2.380, 1.412], [-2.237, 1.094, 1.017], [1.820, -4.623, -6.096], [-0.085, 0.958, 4.750], [2.713, -0.434, -4.011], [4.624, -0.662, -1.016], [2.750, -3.641, 0.390], [2.915, -4.061, -1.580], [-4.180, 2.075, 2.195], [1.973, -4.375, 4.474], [1.342, 4.574, 6.356], [-2.640, -1.899, -4.553], [-0.710, -4.453, -6.163]],
  "fmax_ev_per_a": 0.533,
  "total_charge": 3,
  "de_lowest_kj_mol": 85.5,
  "homo_ev": -15.33,
  "orbital_gap_ev": 8.1
}



(2)
{
  "formula": "C49H62N6O3PSbTi",
  "method": "ωB97M-V with the def2-TZVPD basis set",